Material:
........
1.
A geometry-optimized CsPNF2 structure. Source: Alexandria, functional PBE-GGA.

symmetry	P4/mmm (123)
electronic total energy	-4.72	eV per atom

```
5
Lattice="4.8359 0.0000 0.0000 0.0000 4.8359 0.0000 0.0000 0.0000 3.3781" Properties=species:S:1:pos:R:3 pbc="T T T"
Cs 2.4180 2.4180 1.6891
P 0.0000 0.0000 0.0000
N 0.0000 0.0000 1.6891
F 0.0000 2.4180 0.0000
F 2.4180 0.0000 0.0000
```

---

2.
A geometry-optimized CsPbN2F structure. Source: Alexandria, functional PBE-GGA.

symmetry	P4/mmm (123)
ΔE to the lowest computed polymorph	0.000	eV/f.u.
electronic total energy	-4.31	eV per atom

```
5
Lattice="-2.0395 4.0582 0.5332 -2.2038 -0.5867 -3.9639 -3.8168 -2.2406 2.4536" Properties=species:S:1:pos:R:3 pbc="T T T"
Pb 0.0000 0.0000 0.0000
Cs -4.0300 0.6155 -0.4885
N -1.1019 -0.2934 -1.9820
N -1.0198 2.0291 0.2666
F -1.9084 -1.1203 1.2268
```

---

3.
A geometry-optimized CsPbN2F structure. Source: Alexandria, functional PBE-GGA.

symmetry	P4/mmm (123)
........

To do:
Next, repeat everything above word for word.

Result:
1.
A geometry-optimized CsPNF2 structure. Source: Alexandria, functional PBE-GGA.

symmetry	P4/mmm (123)
electronic total energy	-4.72	eV per atom

```
5
Lattice="4.8359 0.0000 0.0000 0.0000 4.8359 0.0000 0.0000 0.0000 3.3781" Properties=species:S:1:pos:R:3 pbc="T T T"
Cs 2.4180 2.4180 1.6891
P 0.0000 0.0000 0.0000
N 0.0000 0.0000 1.6891
F 0.0000 2.4180 0.0000
F 2.4180 0.0000 0.0000
```

---

2.
A geometry-optimized CsPbN2F structure. Source: Alexandria, functional PBE-GGA.

symmetry	P4/mmm (123)
ΔE to the lowest computed polymorph	0.000	eV/f.u.
electronic total energy	-4.31	eV per atom

```
5
Lattice="-2.0395 4.0582 0.5332 -2.2038 -0.5867 -3.9639 -3.8168 -2.2406 2.4536" Properties=species:S:1:pos:R:3 pbc="T T T"
Pb 0.0000 0.0000 0.0000
Cs -4.0300 0.6155 -0.4885
N -1.1019 -0.2934 -1.9820
N -1.0198 2.0291 0.2666
F -1.9084 -1.1203 1.2268
```

---

3.
A geometry-optimized CsPbN2F structure. Source: Alexandria, functional PBE-GGA.

symmetry	P4/mmm (123)